Please echo the whole of the notes below without additions.

~~~
(1)
! Ni5As2 meta-GGA r2SCAN optimized geometry; values from VASP
! - Calculated formation energy: -143.4 kJ/mol of formula units
! - M_tot: 0.00 μB per formula unit
&SYSTEM
  ibrav = 0, nat = 42, ntyp = 2
/
ATOMIC_SPECIES
Ni 58.69 Ni.upf
As 74.92 As.upf
CELL_PARAMETERS angstrom
6.742 0.000 0.000
-3.371 5.839 0.000
0.000 0.000 12.453
ATOMIC_POSITIONS crystal
Ni 0.000 0.000 0.949
Ni 0.000 0.000 0.449
Ni 0.333 0.667 0.095
Ni 0.667 0.333 0.595
Ni 0.333 0.667 0.595
Ni 0.667 0.333 0.095
Ni 0.250 0.000 0.121
Ni 0.250 0.250 0.621
Ni 0.000 0.750 0.621
Ni 0.000 0.250 0.121
Ni 0.750 0.750 0.121
Ni 0.750 0.000 0.621
Ni 0.624 0.000 0.219
Ni 0.624 0.624 0.719
Ni 0.000 0.376 0.719
Ni 0.000 0.624 0.219
Ni 0.376 0.376 0.219
Ni 0.376 0.000 0.719
Ni 0.311 0.000 0.329
Ni 0.311 0.311 0.829
Ni 0.000 0.689 0.829
Ni 0.000 0.311 0.329
Ni 0.689 0.689 0.329
Ni 0.689 0.000 0.829
Ni 0.626 0.000 0.433
Ni 0.626 0.626 0.933
Ni 0.000 0.374 0.933
Ni 0.000 0.626 0.433
Ni 0.374 0.374 0.433
Ni 0.374 0.000 0.933
As 0.000 0.000 0.255
As 0.000 0.000 0.755
As 0.333 0.667 0.295
As 0.667 0.333 0.795
As 0.333 0.667 0.795
As 0.667 0.333 0.295
As 0.669 0.000 0.023
As 0.669 0.669 0.523
As 0.000 0.331 0.523
As 0.000 0.669 0.023
As 0.331 0.331 0.023
As 0.331 0.000 0.523

---

(2)
! Y2CdSe4 meta-GGA r2SCAN optimized geometry; values from VASP
! - Calculated formation energy: -1204.0 kJ/mol of formula units
! - M_tot: 0.00 μB per formula unit
&SYSTEM
  ibrav = 0, nat = 14, ntyp = 3
/
ATOMIC_SPECIES
Y 88.91 Y.upf
Cd 112.41 Cd.upf
Se 78.96 Se.upf
CELL_PARAMETERS angstrom
0.000 5.868 5.868
5.868 0.000 5.868
5.868 5.868 0.000
ATOMIC_POSITIONS crystal
Y 0.125 0.625 0.625
Y 0.625 0.125 0.625
Y 0.625 0.625 0.125
Y 0.625 0.625 0.625
Cd 0.250 0.250 0.250
Cd 0.000 0.000 0.000
Se 0.855 0.382 0.382
Se 0.382 0.855 0.382
Se 0.382 0.382 0.855
Se 0.382 0.382 0.382
Se 0.395 0.868 0.868
Se 0.868 0.395 0.868
Se 0.868 0.868 0.395
Se 0.868 0.868 0.868

~~~~~

The following is a DFT calculation (PBE) of crystalline Rb2TmAuCl6 at its relaxed geometry.

Cell: 7.572 7.572 7.572 Å, 60.00 60.00 60.00°
Fractional positions:
Rb: 0.750 0.750 0.750
Rb: 0.250 0.250 0.250
Tm: 0.000 0.000 0.000
Au: 0.500 0.500 0.500
Cl: 0.757 0.243 0.243
Cl: 0.243 0.243 0.757
Cl: 0.243 0.757 0.757
Cl: 0.243 0.757 0.243
Cl: 0.757 0.243 0.757
Cl: 0.757 0.757 0.243

Calculated values
Energy of formation in kJ per mole of atoms: -197.2
Corrected total energy (MP2020 scheme) in eV per cell: -41.236
~~~

(1)
! Ni5As2 meta-GGA r2SCAN optimized geometry; values from VASP
! - Calculated formation energy: -143.4 kJ/mol of formula units
! - M_tot: 0.00 μB per formula unit
&SYSTEM
  ibrav = 0, nat = 42, ntyp = 2
/
ATOMIC_SPECIES
Ni 58.69 Ni.upf
As 74.92 As.upf
CELL_PARAMETERS angstrom
6.742 0.000 0.000
-3.371 5.839 0.000
0.000 0.000 12.453
ATOMIC_POSITIONS crystal
Ni 0.000 0.000 0.949
Ni 0.000 0.000 0.449
Ni 0.333 0.667 0.095
Ni 0.667 0.333 0.595
Ni 0.333 0.667 0.595
Ni 0.667 0.333 0.095
Ni 0.250 0.000 0.121
Ni 0.250 0.250 0.621
Ni 0.000 0.750 0.621
Ni 0.000 0.250 0.121
Ni 0.750 0.750 0.121
Ni 0.750 0.000 0.621
Ni 0.624 0.000 0.219
Ni 0.624 0.624 0.719
Ni 0.000 0.376 0.719
Ni 0.000 0.624 0.219
Ni 0.376 0.376 0.219
Ni 0.376 0.000 0.719
Ni 0.311 0.000 0.329
Ni 0.311 0.311 0.829
Ni 0.000 0.689 0.829
Ni 0.000 0.311 0.329
Ni 0.689 0.689 0.329
Ni 0.689 0.000 0.829
Ni 0.626 0.000 0.433
Ni 0.626 0.626 0.933
Ni 0.000 0.374 0.933
Ni 0.000 0.626 0.433
Ni 0.374 0.374 0.433
Ni 0.374 0.000 0.933
As 0.000 0.000 0.255
As 0.000 0.000 0.755
As 0.333 0.667 0.295
As 0.667 0.333 0.795
As 0.333 0.667 0.795
As 0.667 0.333 0.295
As 0.669 0.000 0.023
As 0.669 0.669 0.523
As 0.000 0.331 0.523
As 0.000 0.669 0.023
As 0.331 0.331 0.023
As 0.331 0.000 0.523

---

(2)
! Y2CdSe4 meta-GGA r2SCAN optimized geometry; values from VASP
! - Calculated formation energy: -1204.0 kJ/mol of formula units
! - M_tot: 0.00 μB per formula unit
&SYSTEM
  ibrav = 0, nat = 14, ntyp = 3
/
ATOMIC_SPECIES
Y 88.91 Y.upf
Cd 112.41 Cd.upf
Se 78.96 Se.upf
CELL_PARAMETERS angstrom
0.000 5.868 5.868
5.868 0.000 5.868
5.868 5.868 0.000
ATOMIC_POSITIONS crystal
Y 0.125 0.625 0.625
Y 0.625 0.125 0.625
Y 0.625 0.625 0.125
Y 0.625 0.625 0.625
Cd 0.250 0.250 0.250
Cd 0.000 0.000 0.000
Se 0.855 0.382 0.382
Se 0.382 0.855 0.382
Se 0.382 0.382 0.855
Se 0.382 0.382 0.382
Se 0.395 0.868 0.868
Se 0.868 0.395 0.868
Se 0.868 0.868 0.395
Se 0.868 0.868 0.868

~~~~~

The following is a DFT calculation (PBE) of crystalline Rb2TmAuCl6 at its relaxed geometry.

Cell: 7.572 7.572 7.572 Å, 60.00 60.00 60.00°
Fractional positions:
Rb: 0.750 0.750 0.750
Rb: 0.250 0.250 0.250
Tm: 0.000 0.000 0.000
Au: 0.500 0.500 0.500
Cl: 0.757 0.243 0.243
Cl: 0.243 0.243 0.757
Cl: 0.243 0.757 0.757
Cl: 0.243 0.757 0.243
Cl: 0.757 0.243 0.757
Cl: 0.757 0.757 0.243

Calculated values
Energy of formation in kJ per mole of atoms: -197.2
Corrected total energy (MP2020 scheme) in eV per cell: -41.236